_What to do_
Filter the contents underneath: keep the lines with the word "No".

_Data_
-- begin --
Run w
Compound: Na
Source: the Materials Project database
Functional: r2SCAN
Structure: optimized geometry

abc: 3.724 3.738 12.493
angles: 90.00 90.00 119.87
Element x y z (fractional)
Na: 0.328 0.655 0.250
Na: 0.672 0.345 0.750
Na: 0.000 0.000 0.500
Na: 0.000 0.000 0.000

Calculated values
total moment: 0.0 μB per formula unit
symmetry: Cmcm, No. 63
density: 1.013 Mg/m³

=====

Run x
Compound: Na
Source: the Materials Project database
Functional: r2SCAN
Structure: optimized geometry

abc: 7.332 7.332 7.332
angles: 109.47 109.47 109.47
Element x y z (fractional)
Na: 0.500 0.000 0.451
Na: 0.451 0.500 0.000
Na: 0.000 0.951 0.500
Na: 0.951 0.500 0.000
Na: 0.000 0.451 0.500
Na: 0.500 0.000 0.951
Na: 0.549 0.549 0.549
Na: 0.049 0.049 0.049

Calculated values
total moment: 0.1 μB per formula unit
symmetry: I-43d, No. 220
density: 1.007 Mg/m³

=====

Short version: run w, run x, most stable first.

=====

Run w
Compound: NaO2
Source: the Materials Project database
Functional: r2SCAN
Structure: optimized geometry

abc: 5.088 6.334 9.145
angles: 90.00 90.00 90.01
Element x y z (fractional)
Na: 0.332 0.726 0.621
Na: 0.832 0.774 0.379
Na: 0.668 0.226 0.879
Na: 0.168 0.274 0.121
Na: 0.668 0.274 0.379
Na: 0.168 0.226 0.621
Na: 0.332 0.774 0.121
Na: 0.832 0.726 0.879
O: 0.276 0.028 0.931
O: 0.776 0.472 0.069
O: 0.724 0.528 0.569
O: 0.224 0.972 0.431
O: 0.724 0.972 0.069
O: 0.224 0.528 0.931
O: 0.276 0.472 0.431
O: 0.776 0.028 0.569
O: 0.576 0.036 0.664
O: 0.076 0.464 0.336
O: 0.424 0.536 0.836
O: 0.924 0.964 0.164
O: 0.424 0.964 0.336
O: 0.924 0.536 0.664
O: 0.576 0.464 0.164
O: 0.076 0.036 0.836

Calculated values
total moment: 1.0 μB per formula unit
symmetry: Pbca, No. 61
density: 2.479 Mg/m³

=====

Run x
Compound: NaO2
Source: the Materials Project database
Functional: r2SCAN
Structure: optimized geometry

abc: 3.369 4.183 5.570
angles: 90.00 90.00 90.00
Element x y z (fractional)
Na: 0.500 0.500 0.500
Na: 0.000 0.000 0.000
O: 0.500 0.388 0.913
O: 0.500 0.612 0.087
O: 0.000 0.112 0.413
O: 0.000 0.888 0.587

Calculated values
total moment: 1.0 μB per formula unit
symmetry: Pnnm, No. 58
density: 2.326 Mg/m³

=====

Short version: run x, run w, most stable first.

=====

Run w
Compound: NaTi2O4
Source: the Materials Project database
Functional: r2SCAN
Structure: optimized geometry

abc: 6.112 6.112 6.112
angles: 60.00 60.00 60.00
Element x y z (fractional)
Na: 0.750 0.750 0.750
Na: 0.500 0.500 0.500
Ti: 0.125 0.125 0.625
Ti: 0.125 0.625 0.125
Ti: 0.625 0.125 0.125
Ti: 0.125 0.125 0.125
O: 0.320 0.893 0.893
O: 0.893 0.893 0.893
O: 0.893 0.320 0.893
O: 0.893 0.893 0.320
O: 0.357 0.930 0.357
O: 0.357 0.357 0.930
O: 0.930 0.357 0.357
O: 0.357 0.357 0.357

Calculated values
total moment: 0.7 μB per formula unit
symmetry: Fd-3m, No. 227
density: 3.758 Mg/m³

=====

Run x
Compound: NaTi2O4
Source: the Materials Project database
Functional: r2SCAN
Structure: optimized geometry

abc: 2.946 9.244 10.739
angles: 90.00 90.00 90.00
Element x y z (fractional)
Na: 0.250 0.743 0.154
Na: 0.750 0.257 0.846
Na: 0.250 0.243 0.346
Na: 0.750 0.757 0.654
Ti: 0.750 0.935 0.889
Ti: 0.250 0.065 0.111
Ti: 0.750 0.435 0.611
Ti: 0.250 0.565 0.389
Ti: 0.250 0.582 0.897
Ti: 0.750 0.418 0.103
Ti: 0.250 0.082 0.603
Ti: 0.750 0.918 0.397
O: 0.750 0.920 0.070
O: 0.250 0.080 0.930
O: 0.750 0.420 0.430
O: 0.250 0.580 0.570
O: 0.750 0.521 0.781
O: 0.250 0.479 0.219
O: 0.750 0.021 0.719
O: 0.250 0.979 0.281
O: 0.750 0.613 0.023
O: 0.250 0.387 0.977
O: 0.750 0.113 0.477
O: 0.250 0.887 0.523
O: 0.250 0.791 0.848
O: 0.750 0.209 0.152
O: 0.250 0.291 0.652
O: 0.750 0.709 0.348

Calculated values
total moment: 1.0 μB per formula unit
symmetry: Pnma, No. 62
density: 4.151 Mg/m³

=====

Short version: run x, run w, most stable first.

=====

Run w
Compound: NaTmO2
Source: the Materials Project database
Functional: r2SCAN
Structure: optimized geometry

abc: 5.927 5.927 5.927
angles: 135.09 135.09 65.39
Element x y z (fractional)
Na: 0.250 0.750 0.500
Na: 0.500 0.500 0.000
-- stop --

_Result_
symmetry: Cmcm, No. 63
symmetry: I-43d, No. 220
symmetry: Pbca, No. 61
symmetry: Pnnm, No. 58
symmetry: Fd-3m, No. 227
symmetry: Pnma, No. 62